Izvestiya of Saratov University.
ISSN 1994-2540 (Print)
ISSN 2542-1956 (Online)

<<<
Material: CuPHO2
Method: DFT, PBE
State: relaxed

Unit cell a=3.9463 b=3.9463 c=2.8804 alpha=90.00 beta=90.00 gamma=90.00
Last column: nearest neighbours and their distance in Å.
Element x y z (fractional)
1 H 0.0000 0.0000 0.0000  2 P 1.44
2 O 0.5000 0.0000 0.0000  2 H 1.97
3 P 0.0000 0.0000 0.5000  2 H 1.44
4 O 0.0000 0.5000 0.0000  2 H 1.97
5 Cu 0.5000 0.5000 0.5000  8 O 2.44

Output
* SG: P4/mmm, No. 123
* calculated total energy: -3.971 eV per atom

---

Material: U2CuP2H16O20
Method: DFT, PBE
State: relaxed

Unit cell a=7.0069 b=7.0069 c=17.5232 alpha=90.00 beta=90.00 gamma=90.00
Last column: nearest neighbours and their distance in Å.
Element x y z (fractional)
1 O 0.7189 0.4644 0.6914  2 H 0.99-1.01
2 H 0.5341 0.7868 0.8071  1 O 1.00
3 O 0.4531 0.6728 0.5525  1 P 1.56
4 H 0.3802 0.3266 0.2652  1 O 1.01
5 O 0.3972 0.7451 0.8076  2 H 0.99-1.00
6 H 0.0917 0.1675 0.6439  1 O 0.99
7 O 0.0000 0.5000 0.8443  1 U 1.82
8 H 0.6776 0.6215 0.1435  1 O 0.99
9 O 0.1028 0.7549 0.1924  2 H 0.99-1.00
10 O 0.5000 0.0000 0.9484  1 U 1.81
11 H 0.3224 0.3785 0.1435  1 O 0.99
12 O 0.3267 0.5416 0.9472  1 P 1.55
13 H 0.7132 0.0341 0.8071  1 O 1.00
14 H 0.9083 0.8325 0.6439  1 O 0.99
15 U 0.5000 0.0000 0.5515  2 O 1.81-1.83
16 O 0.0000 0.5000 0.3452  1 U 1.81
17 H 0.2132 0.5341 0.1929  1 O 1.00
18 H 0.5917 0.6675 0.3561  1 O 0.99
19 P 0.5000 0.5000 0.5000  4 O 1.56
20 H 0.6215 0.3224 0.8565  1 O 0.99
21 H 0.8224 0.8785 0.8565  1 O 0.99
22 O 0.0416 0.1733 0.9472  1 P 1.55
23 O 0.9584 0.8267 0.9472  1 P 1.55
24 O 0.5416 0.6733 0.0528  1 P 1.55
25 H 0.8785 0.1776 0.1435  1 O 0.99
26 H 0.6734 0.3802 0.7348  1 O 1.01
27 H 0.4083 0.3325 0.3561  1 O 0.99
28 O 0.0000 0.5000 0.0516  1 U 1.81
29 P 0.0000 0.0000 0.5000  4 O 1.56
30 O 0.7451 0.6028 0.1924  2 H 0.99-1.00
31 O 0.0469 0.8272 0.4475  1 P 1.56
32 P 0.5000 0.5000 0.0000  4 O 1.55
33 U 0.5000 0.0000 0.0516  2 O 1.81-1.82
34 H 0.8266 0.1198 0.2652  1 O 1.01
35 H 0.3325 0.5917 0.6439  1 O 0.99
36 O 0.6028 0.2549 0.8076  2 H 0.99-1.00
37 H 0.8325 0.0917 0.3561  1 O 0.99
38 O 0.1728 0.0469 0.5525  1 P 1.56
39 O 0.9644 0.7811 0.6914  2 H 0.99-1.01
40 O 0.5000 0.0000 0.1557  1 U 1.82
41 O 0.6728 0.5469 0.4475  1 P 1.56
42 H 0.6675 0.4083 0.6439  1 O 0.99
43 U 0.0000 0.5000 0.4485  2 O 1.81-1.83
44 O 0.7811 0.0356 0.3086  2 H 0.99-1.01
45 O 0.5469 0.3272 0.5525  1 P 1.56
46 O 0.2811 0.5356 0.6914  2 H 0.99-1.01
47 U 0.0000 0.5000 0.9484  2 O 1.81-1.82
48 Cu 0.5000 0.0000 0.3109  4 O 1.99
49 O 0.0356 0.2189 0.6914  2 H 0.99-1.01
50 O 0.8972 0.2451 0.1924  2 H 0.99-1.00
51 H 0.8802 0.8266 0.7348  1 O 1.01
52 O 0.3272 0.4531 0.4475  1 P 1.56
53 O 0.1733 0.9584 0.0528  1 P 1.55
54 H 0.6198 0.6734 0.2652  1 O 1.01
55 H 0.1198 0.1734 0.7348  1 O 1.01
56 H 0.2868 0.9659 0.8071  1 O 1.00
57 O 0.0000 0.5000 0.5528  1 U 1.83
58 O 0.9531 0.1728 0.4475  1 P 1.56
59 H 0.3785 0.6776 0.8565  1 O 0.99
60 P 0.0000 0.0000 0.0000  4 O 1.55
61 Cu 0.0000 0.5000 0.6891  4 O 1.99
62 H 0.3266 0.6198 0.7348  1 O 1.01
>>>

модернизация экономики

Restrictions and Effects of Neoindustrial Moderni-Zatsii of the Industrial Enterprises in Russia

Introduction. In modern conditions the great value is got by neo-industrial modernization of economy of Russia. It is necessary to analyse problems, restrictions and effects of modernization. Relevance of research is defined by it. Theoretical analysis. Neoindustrialnny modernization is complex process of restructuring and creation of the integrated economy making competitive production. As its restrictions act: weakening of a role of the state in economy, inequality deepening, raw model of economy, corruption. Discussion of results.

Risks and Contradictions of Modernization in Modern Economy of Russia

Introduction: In modern conditions of great importance is the economic modernization of Russia. It is necessary to analyze the risks and contradictions of modernization. This determines the importance of research. Theoretical analysis. Modernization implies structural changes of the economy that produces competitive production. Its risks are: the economy’s dependence on the world market, the conflict of economic interests, the strain on the labour market, weakening role of the state in the economy, decrease motivation to work. Discussion.

Limitations of the Modernization of Russia’s Economic Development

Materials data that have nothing to do with the piece.
********
Here is a geometry-optimized Ac4WO10 structure from the Alexandria database. Energies are from PBE with a Hubbard U.

Computed properties:
Calculated volume, A^3/atom: 15.73
Density, g/cm3: 8.8
Total DFT energy (no corrections), eV/atom: -7.50

abc: 9.005 9.005 5.817
angles: 90.00 90.00 90.00
Space group I4/m (No. 87)
Inequivalent atoms, fractional coordinates:
1 Ac 0.100 0.699 0.000 [8 per cell]
2 W 0.000 0.000 0.500 [2 per cell]
3 O 0.000 0.500 0.250 [4 per cell]
4 O 0.090 0.169 0.290 [16 per cell]
********
The materials data stop here.

Introduction. In modern conditions of great importance is the modernization of the Russian economy. It is necessary to analyze the limitations of modernization. This determines the relevance of the study. Theoretical analysis. Modernization involves the restructuring of the economy, producing competitive products. Its limitations are: ill-conceived economic policies, inflation, economic instability provoked by economic crisis, the weakening role of the state in the economy.

Modeling of Development of Investment Activity Economic Entities in the Modernization of the Modern Russia

Modernization of the economy is not just economic growth, but a new quality content of the process. Laying the foundations of renovation economy is impossible without investment processes, depending on the degree of intensity of the investment activity of all economic entities, but growing under different scenarios. Theoretical analysis.

Specific of the Neoindustrialization and Modernization of Russian Economy

Introduction: In modern conditions, modernization of the Russian economy is of great importance. For this, it is necessary to perform categorical analysis of the concepts of “modernization” and “neo-industrialization” and to show their relationship. This determines the relevance of this research. Results: Modernization is characterized as a transition stage from one state of a system to another one, higher and better. It is carried out on the basis of neo-industrialization.